Contents:
........
Here is crystalline Nd2MgCu2 at its relaxed geometry from Materials Project. Energies are from r2SCAN.

abc: 7.8114 7.8114 3.8057
angles: 90.00 90.00 90.00
With the nearest neighbours (Å) after each atom.
Fractional coordinates of all 10 atoms:
Nd 0.1703 0.3297 0.0000  6 Cu 2.99
Nd 0.3297 0.8297 0.0000  6 Cu 2.99
Nd 0.6703 0.1703 0.0000  6 Cu 2.99
Nd 0.8297 0.6703 0.0000  6 Cu 2.99
Mg 0.0000 0.0000 0.5000  4 Cu 3.11, 8 Nd 3.47
Mg 0.5000 0.5000 0.5000  4 Cu 3.11, 8 Nd 3.47
Cu 0.1210 0.6210 0.5000  1 Cu 2.67, 6 Nd 2.99
Cu 0.3790 0.1210 0.5000  1 Cu 2.67, 6 Nd 2.99
Cu 0.6210 0.8790 0.5000  1 Cu 2.67, 6 Nd 2.99
Cu 0.8790 0.3790 0.5000  1 Cu 2.67, 6 Nd 2.99

Calculated formation energy (eV/atom): -0.185
Space-group type: P4/mbm (127)
Calculated volume (Å³/atom): 23.22
Total DFT energy (no corrections) (eV/atom): -17.12

Here is crystalline NdMg2Cu9 at its relaxed geometry from Materials Project. Energies are from r2SCAN.

abc: 5.0048 5.0048 16.0460
angles: 90.00 90.00 120.00
With the nearest neighbours (Å) after each atom.
Fractional coordinates of all 24 atoms:
Nd 0.3333 0.6667 0.2500  18 Cu 2.89-3.23
Nd 0.6667 0.3333 0.7500  18 Cu 2.89-3.23
Mg 0.3333 0.6667 0.0310  12 Cu 2.85-2.93, 3 Mg 3.06
Mg 0.3333 0.6667 0.4690  12 Cu 2.85-2.93, 3 Mg 3.06
Mg 0.6667 0.3333 0.5310  12 Cu 2.85-2.93, 3 Mg 3.06
Mg 0.6667 0.3333 0.9690  12 Cu 2.85-2.93, 3 Mg 3.06
Cu 0.0000 0.0000 0.0000  6 Cu 2.45
Cu 0.0000 0.0000 0.2500  6 Cu 2.51
Cu 0.0000 0.0000 0.5000  6 Cu 2.45
Cu 0.0000 0.0000 0.7500  6 Cu 2.51
Cu 0.1680 0.3359 0.6226  7 Cu 2.45-2.52
Cu 0.1680 0.3359 0.8774  7 Cu 2.45-2.52
Cu 0.1680 0.8320 0.6226  7 Cu 2.45-2.52
Cu 0.1680 0.8320 0.8774  7 Cu 2.45-2.52
Cu 0.3333 0.6667 0.7500  6 Cu 2.50
Cu 0.3359 0.1680 0.1226  7 Cu 2.45-2.52
Cu 0.3359 0.1680 0.3774  7 Cu 2.45-2.52
Cu 0.6641 0.8320 0.6226  7 Cu 2.45-2.52
Cu 0.6641 0.8320 0.8774  7 Cu 2.45-2.52
Cu 0.6667 0.3333 0.2500  6 Cu 2.50
Cu 0.8320 0.1680 0.1226  7 Cu 2.45-2.52
Cu 0.8320 0.1680 0.3774  7 Cu 2.45-2.52
Cu 0.8320 0.6641 0.1226  7 Cu 2.45-2.52
Cu 0.8320 0.6641 0.3774  7 Cu 2.45-2.52

Calculated formation energy (eV/atom): -0.155
Space-group type: P6_3/mmc (194)
Calculated volume (Å³/atom): 14.50
Total DFT energy (no corrections) (eV/atom): -11.44

Here is crystalline Mg4CuNi at its relaxed geometry from Materials Project. Energies are from r2SCAN.

abc: 5.1654 5.1654 13.3589
angles: 90.00 90.00 120.00
With the nearest neighbours (Å) after each atom.
Fractional coordinates of all 18 atoms:
Mg 0.0000 0.5000 0.0520  2 Cu 2.67, 2 Ni 2.67, 2 Mg 2.93
Mg 0.0000 0.5000 0.2814  2 Ni 2.67, 2 Cu 2.67, 2 Mg 2.93
Mg 0.1613 0.3226 0.5000  2 Ni 2.65, 2 Cu 2.69, 1 Mg 2.89
Mg 0.1613 0.8387 0.8333  2 Ni 2.65, 2 Cu 2.69, 1 Mg 2.89
Mg 0.3226 0.1613 0.1667  2 Ni 2.65, 2 Cu 2.69, 1 Mg 2.89
Mg 0.5000 0.0000 0.3853  2 Cu 2.67, 2 Ni 2.67, 2 Mg 2.93
Mg 0.5000 0.0000 0.6147  2 Cu 2.67, 2 Ni 2.67, 2 Mg 2.93
Mg 0.5000 0.5000 0.7186  2 Cu 2.67, 2 Ni 2.67, 2 Mg 2.93
Mg 0.5000 0.5000 0.9480  2 Ni 2.67, 2 Cu 2.67, 2 Mg 2.93
Mg 0.6774 0.8387 0.1667  2 Ni 2.65, 2 Cu 2.69, 1 Mg 2.89
Mg 0.8387 0.1613 0.8333  2 Ni 2.65, 2 Cu 2.69, 1 Mg 2.89
Mg 0.8387 0.6774 0.5000  2 Ni 2.65, 2 Cu 2.69, 1 Mg 2.89
Cu 0.0000 0.5000 0.6667  2 Ni 2.58, 8 Mg 2.67-2.69
Cu 0.5000 0.0000 0.0000  2 Ni 2.58, 8 Mg 2.67-2.69
Cu 0.5000 0.5000 0.3333  2 Ni 2.58, 8 Mg 2.67-2.69
Ni 0.0000 0.0000 0.0000  2 Cu 2.58, 8 Mg 2.65-2.67
Ni 0.0000 0.0000 0.3333  2 Cu 2.58, 8 Mg 2.65-2.67
Ni 0.0000 0.0000 0.6667  2 Cu 2.58, 8 Mg 2.65-2.67

Calculated formation energy (eV/atom): -0.108
Space-group type: P6_222 (180)
Calculated volume (Å³/atom): 17.15
Total DFT energy (no corrections) (eV/atom): -6.69

Here is crystalline MgCu2O4 at its relaxed geometry from Materials Project. Energies are from r2SCAN.

abc: 6.5750 6.5750 6.5750
angles: 131.34 131.34 71.27
With the nearest neighbours (Å) after each atom.
Fractional coordinates of all 14 atoms:
Mg 0.3750 0.6250 0.7500  4 O 1.98
Mg 0.6250 0.3750 0.2500  4 O 1.98
Cu 0.0000 0.0000 0.0000  4 O 1.83
........

Request:
Set down the whole of the entries earlier on verbatim, please.

Completed:
Here is crystalline Nd2MgCu2 at its relaxed geometry from Materials Project. Energies are from r2SCAN.

abc: 7.8114 7.8114 3.8057
angles: 90.00 90.00 90.00
With the nearest neighbours (Å) after each atom.
Fractional coordinates of all 10 atoms:
Nd 0.1703 0.3297 0.0000  6 Cu 2.99
Nd 0.3297 0.8297 0.0000  6 Cu 2.99
Nd 0.6703 0.1703 0.0000  6 Cu 2.99
Nd 0.8297 0.6703 0.0000  6 Cu 2.99
Mg 0.0000 0.0000 0.5000  4 Cu 3.11, 8 Nd 3.47
Mg 0.5000 0.5000 0.5000  4 Cu 3.11, 8 Nd 3.47
Cu 0.1210 0.6210 0.5000  1 Cu 2.67, 6 Nd 2.99
Cu 0.3790 0.1210 0.5000  1 Cu 2.67, 6 Nd 2.99
Cu 0.6210 0.8790 0.5000  1 Cu 2.67, 6 Nd 2.99
Cu 0.8790 0.3790 0.5000  1 Cu 2.67, 6 Nd 2.99

Calculated formation energy (eV/atom): -0.185
Space-group type: P4/mbm (127)
Calculated volume (Å³/atom): 23.22
Total DFT energy (no corrections) (eV/atom): -17.12

Here is crystalline NdMg2Cu9 at its relaxed geometry from Materials Project. Energies are from r2SCAN.

abc: 5.0048 5.0048 16.0460
angles: 90.00 90.00 120.00
With the nearest neighbours (Å) after each atom.
Fractional coordinates of all 24 atoms:
Nd 0.3333 0.6667 0.2500  18 Cu 2.89-3.23
Nd 0.6667 0.3333 0.7500  18 Cu 2.89-3.23
Mg 0.3333 0.6667 0.0310  12 Cu 2.85-2.93, 3 Mg 3.06
Mg 0.3333 0.6667 0.4690  12 Cu 2.85-2.93, 3 Mg 3.06
Mg 0.6667 0.3333 0.5310  12 Cu 2.85-2.93, 3 Mg 3.06
Mg 0.6667 0.3333 0.9690  12 Cu 2.85-2.93, 3 Mg 3.06
Cu 0.0000 0.0000 0.0000  6 Cu 2.45
Cu 0.0000 0.0000 0.2500  6 Cu 2.51
Cu 0.0000 0.0000 0.5000  6 Cu 2.45
Cu 0.0000 0.0000 0.7500  6 Cu 2.51
Cu 0.1680 0.3359 0.6226  7 Cu 2.45-2.52
Cu 0.1680 0.3359 0.8774  7 Cu 2.45-2.52
Cu 0.1680 0.8320 0.6226  7 Cu 2.45-2.52
Cu 0.1680 0.8320 0.8774  7 Cu 2.45-2.52
Cu 0.3333 0.6667 0.7500  6 Cu 2.50
Cu 0.3359 0.1680 0.1226  7 Cu 2.45-2.52
Cu 0.3359 0.1680 0.3774  7 Cu 2.45-2.52
Cu 0.6641 0.8320 0.6226  7 Cu 2.45-2.52
Cu 0.6641 0.8320 0.8774  7 Cu 2.45-2.52
Cu 0.6667 0.3333 0.2500  6 Cu 2.50
Cu 0.8320 0.1680 0.1226  7 Cu 2.45-2.52
Cu 0.8320 0.1680 0.3774  7 Cu 2.45-2.52
Cu 0.8320 0.6641 0.1226  7 Cu 2.45-2.52
Cu 0.8320 0.6641 0.3774  7 Cu 2.45-2.52

Calculated formation energy (eV/atom): -0.155
Space-group type: P6_3/mmc (194)
Calculated volume (Å³/atom): 14.50
Total DFT energy (no corrections) (eV/atom): -11.44

Here is crystalline Mg4CuNi at its relaxed geometry from Materials Project. Energies are from r2SCAN.

abc: 5.1654 5.1654 13.3589
angles: 90.00 90.00 120.00
With the nearest neighbours (Å) after each atom.
Fractional coordinates of all 18 atoms:
Mg 0.0000 0.5000 0.0520  2 Cu 2.67, 2 Ni 2.67, 2 Mg 2.93
Mg 0.0000 0.5000 0.2814  2 Ni 2.67, 2 Cu 2.67, 2 Mg 2.93
Mg 0.1613 0.3226 0.5000  2 Ni 2.65, 2 Cu 2.69, 1 Mg 2.89
Mg 0.1613 0.8387 0.8333  2 Ni 2.65, 2 Cu 2.69, 1 Mg 2.89
Mg 0.3226 0.1613 0.1667  2 Ni 2.65, 2 Cu 2.69, 1 Mg 2.89
Mg 0.5000 0.0000 0.3853  2 Cu 2.67, 2 Ni 2.67, 2 Mg 2.93
Mg 0.5000 0.0000 0.6147  2 Cu 2.67, 2 Ni 2.67, 2 Mg 2.93
Mg 0.5000 0.5000 0.7186  2 Cu 2.67, 2 Ni 2.67, 2 Mg 2.93
Mg 0.5000 0.5000 0.9480  2 Ni 2.67, 2 Cu 2.67, 2 Mg 2.93
Mg 0.6774 0.8387 0.1667  2 Ni 2.65, 2 Cu 2.69, 1 Mg 2.89
Mg 0.8387 0.1613 0.8333  2 Ni 2.65, 2 Cu 2.69, 1 Mg 2.89
Mg 0.8387 0.6774 0.5000  2 Ni 2.65, 2 Cu 2.69, 1 Mg 2.89
Cu 0.0000 0.5000 0.6667  2 Ni 2.58, 8 Mg 2.67-2.69
Cu 0.5000 0.0000 0.0000  2 Ni 2.58, 8 Mg 2.67-2.69
Cu 0.5000 0.5000 0.3333  2 Ni 2.58, 8 Mg 2.67-2.69
Ni 0.0000 0.0000 0.0000  2 Cu 2.58, 8 Mg 2.65-2.67
Ni 0.0000 0.0000 0.3333  2 Cu 2.58, 8 Mg 2.65-2.67
Ni 0.0000 0.0000 0.6667  2 Cu 2.58, 8 Mg 2.65-2.67

Calculated formation energy (eV/atom): -0.108
Space-group type: P6_222 (180)
Calculated volume (Å³/atom): 17.15
Total DFT energy (no corrections) (eV/atom): -6.69

Here is crystalline MgCu2O4 at its relaxed geometry from Materials Project. Energies are from r2SCAN.

abc: 6.5750 6.5750 6.5750
angles: 131.34 131.34 71.27
With the nearest neighbours (Å) after each atom.
Fractional coordinates of all 14 atoms:
Mg 0.3750 0.6250 0.7500  4 O 1.98
Mg 0.6250 0.3750 0.2500  4 O 1.98
Cu 0.0000 0.0000 0.0000  4 O 1.83